Drudkh - Lebedynyy Shylyakh


Be still, O wand'rer!
Apr 26, 2002

[size=-1]Fantastic third album full of pagan fury, now both faster and folkier than its elite predecessor, blending dreamy melancholy and black rage. Superior musicianship, crystalline production, raw bite, and radical ideology. Comes with an attractive twelve-page booklet with lyrics taken from the poetry of Ukraine's great poet, ardent patriot, and thinker, Taras Shevchenko.

12 page booklet! Compare that to AA....

By the way, Demilich, this is $17.98 USD retail. ;)
Wow that's a nice cover, why do BM bands "always" have to make vinyl releases in black and white? That picture would have looked pretty damn stunning in 12" format ;[
So there IS a split coming out soon? Cool, I was just guessing that you might have a split project going on, considering every single underground extreme metal band in the world (that aren't really well established) release splits all the time. Issit with

1) Koldbrann
2) LJå
3) Armagedda
4) Woods Of Infinity


5) Sven Ingvars?
I heard the Nasheim split was going to be with mullet-extraordinaire Günther and he was going to contribute some "ta-la-lahms" and "ding-ding-dongs" to the Nasheim side.
Does anybody actually have an original Drudkh Swan Road release, or is everyone judging by the MP3s?

After hearing the first song, I can't believe how bad the drums sound when compared to AA. For me, that was one of the highlights...but anyway, I won't judge on MP3 rips, especially from vinyl.

My order has been placed either way.
On the first listen right now.

Uhhhhh what? This sounds fucking awful. Think I'll skip the first track, wait, I think it's about to get cool. Nope, I was wrong. What the fuck happened to the awesome vocals? Where the fuck are the fucking.... gah. Fuck these vocals suuuuuuuuuuuuuuuuuuuuuuuuuuuuuuck, that was a big part of what made Autumn Aurora so amazing.

First impression = majorly disappointed. I'll definitely be giving this multiple listens before passing judgment, but right now this is pretty craptastic. Doesn't even sound like Drudkh.
Riffs are getting better, starting to sound like Drudkh (along with godlike guitar tone). Not digging the blastbeats, and fucking HATING the vocals. Cool leads.

More time and attention needed. These vocals are pretty close to hopeless though, blah.
Erik said:

Lolz. I am SOOOO going to tell all my friends that Nasheim is coming out with a new THREE WAY SPLIT (am I correct? Am I correct?). Not that there is any point in doing so, considering none of my fellow heavy metallers have heard of you. But still. I may come off as very underground and "in the know".
Erik said:
Dude. Shit. I didn't even fucking realize that it wasn't official that we were actually releasing a split. I didn't actually mean to make that public yet, but sometimes my brain works in mysterious ways (read: not at all) so obviously I thought I had already told you. YOU SIR HAVE PWNT ME

Yes, we're releasing a split, and no, it's not with any of the above (we're not Satanic like Sven Ingvars)

Inserted here: calculated crystals:
____________
[1]
# TlFeHg2

TlFeHg2 after structural relaxation (PBE, Alexandria via LeMat-Bulk).

Total moment: 2.80 μB per formula unit
Calculated volume: 89.2 Å³/cell
D(E_F): 2.57 states/eV per cell
Energy of formation from the pure elements: 0.4032 eV/atom

Cell lengths 3.173, 3.173, 8.864 Å; angles 90.00, 90.00, 90.00 degrees
Space group P4mm (No. 99)
Unique sites:
Tl (0.000, 0.000, 0.000) x1
Fe (0.500, 0.500, 0.219) x1
Hg (0.000, 0.000, 0.409) x1
Hg (0.500, 0.500, 0.694) x1



[2]
# Tl2FeHg

Tl2FeHg after structural relaxation (PBE, Alexandria via LeMat-Bulk).

Total moment: 2.55 μB per formula unit
Calculated volume: 198.4 Å³/cell
D(E_F): 7.25 states/eV per cell
Energy of formation from the pure elements: 0.3697 eV/atom

Cell lengths 3.070, 4.617, 13.994 Å; angles 90.00, 90.00, 90.00 degrees
Space group Immm (No. 71)
Unique sites:
Tl (0.000, 0.000, 0.178) x4
Fe (0.000, 0.500, 0.500) x2
Hg (0.000, 0.500, 0.000) x2



[3]
# TlFeHg2

TlFeHg2 after structural relaxation (PBE, Alexandria via LeMat-Bulk).

Total moment: 2.98 μB per formula unit
Calculated volume: 365.4 Å³/cell
D(E_F): 19.45 states/eV per cell
Energy of formation from the pure elements: 0.5639 eV/atom

Cell lengths 7.149, 7.149, 7.149 Å; angles 90.00, 90.00, 90.00 degrees
Space group Fm-3m (No. 225)
Unique sites:
Tl (0.000, 0.000, 0.000) x4
Fe (0.000, 0.000, 0.500) x4
Hg (0.250, 0.250, 0.250) x8



[4]
# Tl2FeHg

Tl2FeHg after structural relaxation (PBE, Alexandria via LeMat-Bulk).

Total moment: 2.93 μB per formula unit
Calculated volume: 385.8 Å³/cell
D(E_F): 19.01 states/eV per cell
Energy of formation from the pure elements: 0.5799 eV/atom

Cell lengths 7.280, 7.280, 7.280 Å; angles 90.00, 90.00, 90.00 degrees
Space group Fm-3m (No. 225)
Unique sites:
Tl (0.250, 0.250, 0.250) x8
Fe (0.000, 0.000, 0.000) x4
Hg (0.000, 0.000, 0.500) x4



[5]
# TlFeHg2

TlFeHg2 after structural relaxation (PBE, Alexandria via LeMat-Bulk).

Total moment: 2.77 μB per formula unit
Calculated volume: 88.9 Å³/cell
D(E_F): 2.66 states/eV per cell
Energy of formation from the pure elements: 0.3371 eV/atom

Cell lengths 3.168, 3.168, 8.859 Å; angles 90.00, 90.00, 90.00 degrees
Space group P4/mmm (No. 123)
Unique sites:
Tl (0.000, 0.000, 0.000) x1
Fe (0.000, 0.000, 0.500) x1
Hg (0.500, 0.500, 0.304) x2



[6]
# TlFeHg2

TlFeHg2 after structural relaxation (PBE, Alexandria via LeMat-Bulk).

Total moment: 2.96 μB per formula unit
Calculated volume: 176.8 Å³/cell
D(E_F): 8.98 states/eV per cell
Energy of formation from the pure elements: 0.5288 eV/atom

Cell lengths 4.298, 4.298, 9.570 Å; angles 90.00, 90.00, 90.00 degrees
Space group I-4m2 (No. 119)
Unique sites:
Tl (0.000, 0.000, 0.000) x2
Fe (0.000, 0.500, 0.750) x2
Hg (0.000, 0.000, 0.500) x2
Hg (0.000, 0.500, 0.250) x2



[7]
# Tl3FeHg

Tl3FeHg after structural relaxation (PBE, Alexandria via LeMat-Bulk).

Total moment: 0.92 μB per formula unit
Calculated volume: 139.3 Å³/cell
D(E_F): 3.04 states/eV per cell
____________

I don't think you have to feel owned, I knew of it (and I'm almost certain that I haven't dreamt or made it up for myself), I think you mentioned it somewhere back in the old Nasheim thread... I think :D (Damn, now I'm getting uncertain, what if I made it up unconsiously o_O )
I think what happened was that the guy from Hate Forest did the vocals on the first two albums and they let Thurios , Astrofaes vocalist, do vocals on this one. Ive always liked Astrofaes vocals though, so they havent bothered me on The Swan Road.